In today’s post, you will find out what is more important – a GPU or a RAM, or Processor for Gaming, how these components interact in a computer, and whether there is an option to save money and raise the performance when assembling a gaming PC.
Of course, all of these equipment RAM, video card, and CPU are essential to run a game on your computer. But the question here is: if you are going to invest more in these, which one should you choose?
This is a recurring question among people who want more appropriate gaming equipment. That’s because not everyone can invest in one or the other, often needing to choose just one of them when building or updating your PC.
So let’s begin the article, “CPU vs. GPU vs. RAM,” – Which one is more prior for gaming.
Role of CPU, RAM, and Graphic Cards During Games
1. CPU

The brain center and an essential part of any computer that executes all kinds of programs, performs operations, and accesses RAM.
You can say that everything goes through the processor and is in charge of “feeding” or “giving work” to other components. Thus, if you are going to use the PC to play games, you must take care of the choice of the compatible motherboard for your suitable CPU model.
Should I invest in a good processor?: Indeed, because it is a central unit on which the rest of the system components depend. An top end graphics card on expensive motherboard will not perform at its best with an inexpensive processor, just as a 3 GHz RAM will not be used properly with a low-end CPU.
/*
1.
Material: K2MnCr
Method: DFT, PBE-GGA
State: relaxed

Total moment in μB per cell: 0.1
Formation energy from the elements in eV per atom: 0.670
N(E_F) in states/eV/atom: 0.647

```
data_K2MnCr
_chemical_formula_sum 'K2 Mn1 Cr1'
_symmetry_space_group_name_H-M 'P 1'
_symmetry_Int_Tables_number 1
_symmetry_space_group_name_Hall 'P 1'
_cell_length_a 3.525
_cell_length_b 3.527
_cell_length_c 10.438
_cell_angle_alpha 90.00
_cell_angle_beta 90.00
_cell_angle_gamma 90.00
loop_
_atom_site_label
_atom_site_type_symbol
_atom_site_fract_x
_atom_site_fract_y
_atom_site_fract_z
K1 K 0.500 0.500 0.324
Mn1 Mn 0.000 0.000 0.598
K2 K 0.000 0.000 0.926
Cr1 Cr 0.500 0.500 0.651
```

***

2.
Material: KMn2Cr
Method: DFT, PBE-GGA
State: relaxed

Total moment in μB per cell: 3.6
Formation energy from the elements in eV per atom: 1.674
N(E_F) in states/eV/atom: 1.683

```
data_KMn2Cr
_chemical_formula_sum 'K2 Mn4 Cr2'
_symmetry_space_group_name_H-M 'P 1'
_symmetry_Int_Tables_number 1
_symmetry_space_group_name_Hall 'P 1'
_cell_length_a 4.716
_cell_length_b 4.716
_cell_length_c 8.375
_cell_angle_alpha 73.65
_cell_angle_beta 73.65
_cell_angle_gamma 90.00
loop_
_atom_site_label
_atom_site_type_symbol
_atom_site_fract_x
_atom_site_fract_y
_atom_site_fract_z
Mn1 Mn 0.875 0.125 0.250
Mn2 Mn 0.375 0.125 0.750
K1 K 0.250 0.750 0.500
Mn3 Mn 0.875 0.625 0.250
Mn4 Mn 0.875 0.125 0.750
Cr1 Cr 0.000 0.000 0.000
Cr2 Cr 0.750 0.250 0.500
K2 K 0.500 0.500 0.000
```

* * * * *

1.
A geometry-optimized Ce8Ru2Pb3 structure, computed with PBE.

## Properties
As for the space-group type: R-3m (166). The value obtained for the density of states at the Fermi level is 30.48 states/eV/f.u. For the uncorrected energy, the calculation gives -79.2 eV per formula unit.

abc: 6.506 6.506 10.838
angles: 72.53 72.53 60.00
Sites, in units of the cell vectors:
Ce  0.248  0.814  0.689
Ce  0.752  0.752  0.311
Pb  0.000  0.000  0.000
Ce  0.814  0.248  0.689
Ce  0.248  0.248  0.689
Pb  0.199  0.199  0.403
Ru  0.617  0.617  0.148
Ce  0.696  0.696  0.912
Ce  0.304  0.304  0.088
Ce  0.752  0.186  0.311
Ru  0.383  0.383  0.852
Pb  0.801  0.801  0.597
Ce  0.186  0.752  0.311

=====

2.
A geometry-optimized Tm3ScCo2 structure, computed with PBE.

## Properties
As for the space-group type: Immm (71). As for the polymorph energy (0 for the lowest one): 7 meV/atom. The value obtained for the density of states at the Fermi level is 4.01 states/eV/f.u. For the uncorrected energy, the calculation gives -34.6 eV per formula unit.

abc: 4.011 4.523 7.635
angles: 107.20 105.23 90.00
Sites, in units of the cell vectors:
Co  0.376  0.877  0.753
Tm  0.813  0.313  0.627
Sc  0.000  0.000  0.000
Tm  0.500  0.500  0.000
Tm  0.187  0.687  0.373
Co  0.624  0.123  0.247

=====

3.
A geometry-optimized BeCo2Tc structure, computed with PBE.

## Properties
*/
• The text goes on:
2. GPU

When we talk about a PC to run games, the primary output device among all the others is and always will be the graphics card. It is a significant component in gaming. Achieving the coveted number of frames in your favorite game is possible only with the graphic card.
GPU is largely responsible for providing a satisfying gaming experience, putting a combination of polygons, calculating the output image, GPU power targeting, and processing 3D graphics commands, textures, and pixels on your monitor capable of forming beautiful and realistic landscapes and characters.
This already answers the question that gives the title to this article, but I can break this topic a little further. It’s important to point out that a good processor will always make things easier when it comes to achieving good performance in a game; however, when resources are limited, the CPU can wait.
3. RAM
• Someone pasted calculated crystals at this point:
┌──
Compound: Zr3Sc
Source: the Alexandria database
Functional: PBEsol
Structure: optimized geometry

As for the crystal system: orthorhombic. The calculated volume comes out at 179.76 Å³ per cell. For the formation energy, the calculation gives -0.008 eV per atom. For the energy above the most stable polymorph in this dataset, the calculation gives 0.0019 eV/atom. Its uncorrected energy is -67.8 eV per cell.

It has space group Imm2 (No. 44), with a = 3.195 Å, b = 10.127 Å, c = 5.555 Å, α = 90.00°, β = 90.00° and γ = 90.00°. The inequivalent atoms are Zr at (0.000, 0.000, 0.000), Zr at (0.000, 0.250, 0.669) and Sc at (0.000, 0.500, 0.997).

Compound: ZrSc2
Source: the Alexandria database
Functional: PBEsol
Structure: optimized geometry

As for the crystal system: hexagonal. The calculated volume comes out at 134.98 Å³ per cell. For the formation energy, the calculation gives 0.058 eV per atom. Its uncorrected energy is -44.3 eV per cell.

It has space group P6_3/mmc (No. 194), with a = 4.9659 Å, b = 4.9659 Å, c = 6.3205 Å, α = 90.00°, β = 90.00° and γ = 120.00°. The inequivalent atoms are Zr at (0.3333, 0.6667, 0.2500), Sc at (0.0000, 0.0000, 0.0000) and Sc at (0.3333, 0.6667, 0.7500).

----------

Below is crystalline Co4B3P at its relaxed geometry, with properties calculated at the PBE level.

Cell: 4.842 2.605 5.640 Å, 90.00 90.28 90.00°
Element x y z (fractional)
Co 0.000 0.000 0.000
Co 0.011 0.500 0.410
Co 0.506 0.000 0.904
Co 0.530 0.500 0.522
B 0.173 0.500 0.752
B 0.703 0.500 0.146
B 0.857 0.000 0.665
P 0.344 0.000 0.259

- E (eV/atom) = -6.91
- total moment (μB/f.u.) = 0.000
- symmetry = Pm, No. 6

Below is crystalline Co2BP at its relaxed geometry, with properties calculated at the PBE level.

Cell: 4.926 3.081 5.288 Å, 90.00 90.07 90.00°
Element x y z (fractional)
Co 0.000 0.250 0.208
Co 0.000 0.750 0.792
Co 0.498 0.750 0.795
Co 0.502 0.250 0.205
B 0.249 0.250 0.902
B 0.751 0.750 0.098
P 0.253 0.750 0.426
P 0.747 0.250 0.574

- E (eV/atom) = -6.86
- total moment (μB/f.u.) = 0.006
- symmetry = P2_1/m, No. 11

Below is crystalline SmCo2BP at its relaxed geometry, with properties calculated at the PBE level.

Cell: 5.667 5.667 5.667 Å, 142.34 142.34 54.31°
Element x y z (fractional)
Sm 0.000 0.000 0.000
Co 0.263 0.763 0.500
Co 0.763 0.263 0.500
B 0.349 0.349 0.000
P 0.640 0.640 0.000

- E (eV/atom) = -6.96
- total moment (μB/f.u.) = 0.009
- symmetry = I4mm, No. 107

Below is crystalline Tb2TmCo2B2P3 at its relaxed geometry, with properties calculated at the PBE level.

Cell: 11.231 11.231 11.231 Å, 160.24 160.24 28.08°
Element x y z (fractional)
Tb 0.138 0.138 0.000
Tb 0.862 0.862 0.000
Tm 0.500 0.500 0.000
Co 0.250 0.750 0.500
Co 0.750 0.250 0.500
B 0.286 0.286 0.000
B 0.714 0.714 0.000
P 0.000 0.000 0.000
P 0.376 0.376 0.000
P 0.624 0.624 0.000

- E (eV/atom) = -6.65
- total moment (μB/f.u.) = 0.004
- symmetry = I4/mmm, No. 139

Below is crystalline TbY2Co2B2P3 at its relaxed geometry, with properties calculated at the PBE level.
└──

Random-access memory, better known as RAM, also serves a vital function. Unlike a hard disk, it stores the most up-to-date intermediate data processed by the processor. The amount of RAM depends on the number of tasks simultaneously performed by a computer running the OS.
It is a component that has a massive impact at the performance level and therefore is vital, and one cannot neglect the optimal minimum, In addition, RAM has a long lifespan than a CPU or a GPU.
Should I invest a lot in RAM? No, it is not necessary to invest a lot of money, but as I said, there is always a minimum that you must not lower, and that always depends on the use that you are going to give the equipment you are going to install.
Related: What happens when your PC use all the RAM? Should you Worry?
So, Where CPU, RAM, and Graphic Card Stands?
(Misplaced crystal structures)
********
An optimized crystal structure of TiFe, computed with PBE.

Unit cell a=7.2188 b=7.2188 c=4.5125 alpha=90.00 beta=90.00 gamma=90.00
Fractional positions:
1 Ti 0.0962 0.3069 0.0000
2 Ti 0.0962 0.6931 0.5000
3 Ti 0.3069 0.0962 0.5000
4 Ti 0.3069 0.9038 0.0000
5 Ti 0.6931 0.0962 0.0000
6 Ti 0.6931 0.9038 0.5000
7 Ti 0.9038 0.3069 0.5000
8 Ti 0.9038 0.6931 0.0000
9 Fe 0.2609 0.4143 0.5000
10 Fe 0.2609 0.5857 0.0000
11 Fe 0.4143 0.2609 0.0000
12 Fe 0.4143 0.7391 0.5000
13 Fe 0.5857 0.2609 0.5000
14 Fe 0.5857 0.7391 0.0000
15 Fe 0.7391 0.4143 0.0000
16 Fe 0.7391 0.5857 0.5000

Properties
The calculation puts the formation enthalpy at 0 K at 0.35 eV per formula unit.
********
At first glance, the choice is obvious; investing in a video card is the most practical option because the graphics processing unit is responsible mainly for offering more fluidity in running a game. Furthermore, the increased frame rate (FPS) and a more pleasant visual experience depend more on the graphics card than the processor.
However, everything is not so evident here. Although the graphics accelerator is involved to a large extent in the processing of three-dimensional graphics, do not forget about the processor. Many frames per second (for which the video card is responsible) are not indicative of comfortable and smooth gameplay.
In games, the CPU function most of the work. Processing user commands from the input devices like mouse and keyboard, building an in-game environment, physically calculating the interaction of objects, and much more; all this is required to be done every second.
If the processor resources are insufficient, you will observe annoying freezes and micro stutters, even though the FPS counter will show high values.
So investing blindly in the latest RTX lineup while having a Dual core or 4-core processor on the motherboard isn’t right. A good balance between a graphics accelerator and a processor is the key to any good build.
For example, the RTX 2080 + i5 9400 is not the best package. Watch Dogs 2 will quickly load all 6 cores and 6 threads to capacity. But Ryzen 5 2600 + RTX 1070 looks much nicer already. So remember about balance.
As for the RAM, everything is pretty simple. Breakthrough technologies in creating primary memory have not been seen for a very long time. Every year, the need for RAM is still increasing, but this is happening at a relatively smooth pace.
So, if we had enough 4 GB for games, today at least it is already 8 GB. In 2-3 years, the eight will probably turn into 16 gigs, and so on. It is advisable to invest in RAM only if the PC is assembled for specialized tasks, but first things first.
Equipment for intensive play: Here, I can set two minimums. The first is 8 GB, enough to guarantee a good experience in most cases. The second is 16 GB, which ensures optimal performance in all scenarios. It is advisable to use kits of at least 1,600 MHz, although the optimal quality-price level is 2,133 MHz (DDR3) and 2,666 MHz (DDR4).
Conclusion – (Processor vs Graphic Card vs RAM)
I’ll conclude right away that such a statement of the question as the importance of the CPU, RAM, and GPU for games is a little incorrect. The most important thing is to strike a balance.
If you have any experience with hardware, you may have realized, or at least heard, that a balanced set is always essential. Basically, it’s no use having the best video card on the market next to an outdated processor, as this can even overload the device to the point of damaging it.
A weak processor simply will not reveal the full potential of the video card since it will not have time to process all the incoming information causing overheating. Similarly, An inefficient video card will not qualitatively draw all that “movement” on the screen, calculated by a powerful processor.
However, the capacity may be excessive. At this writing, an 8-core CPU is sufficient for even the most demanding games. 16 cores are already overkilled: this power will not be used.
Except if you are broadcasting a game – then the CPU can be used for software streaming video processing.
And finally, I will give a reference example of excess power – a Core i9 series processor in conjunction with an RTX 2080 graphics adapter. Despite this being a top-end graphics card, a Core i7 CPU is enough to unlock its potential.
At the same time, you will not notice a drop in FPS by 1-2 points with the naked eye, but you can save up to $ 1000. That’s how many good games you can buy for that amount!
If you do not choose a processor in accordance and balanced with the rest of the components, you will have a clear bottleneck and undesirable consequences that usually translate into low or insufficient performance.
Thus, the bottom line for gaming PC in the middle of CPU, GPU, and RAM is to balance the processor and the video card; furthermore, the RAM can be purchased at any time or exchanged for larger slats.
Related: How Much RAM Should Be Used At Idle? What’s Normal Percentage Should be?
This concludes our article on “CPU vs GPU vs RAM – Which is More Important for Gaming?”, I hope this article helped you figure out, remember to share it on social networks so that it can help more users who need it.